PO Entry VMI Initial Product Data Load ranges and options


See Report ranges.


Vendor #
Specify the ARP vendor number set up on the Product Warehouse Product Setup record. The initial product data load is specific to one vendor only.
Distributor's ID
Specify your distributor ID. This value is a unique identifier that is assigned by the vendor or selected by you. A distributor ID may represent a company or a warehouse. If distributor IDs are assigned by warehouse, you must run the Purchase Entry VMI Initial Product Data Load Report for each warehouse.
Use Form (Form 1-4 Std, Others Custom)
This option determines the format of the file. Forms 1 and 2 use fixed field lengths. Forms 3 and 4 use a character delimiter that is defined in the Field Separator option. The form that you select depends on your vendor's requirements.
Field Separator
If you selected Form 3 or 4 for the Use Form option, specify the character delimiter.
Enter List of Products or Product Lines?
To enter a list of products or product lines, select Yes and then click List. If you enter a list, the ranges are ignored.
Number of Months of History Needed

This value corresponds to the months usage in Product Warehouse Product Setup-Ordering.

If you use Form 3 or 4, specify the number of months of product history to include on the report. The maximum value is 24.

**What comes next are records of crystals, not part of the entry:**
No. 1
U2Ga5Ni3: simulated powder diffraction line list (Cu Kα), based on a DFT-relaxed cell (GGA-PBE, Alexandria).

Crystal structure
Cell: 4.250 24.012 6.403 Å, 90.00 90.00 90.00°
Space group Cmc2_1 (No. 36)
Asymmetric unit:
U (0.000, 0.016, 0.000) (multiplicity 4)
U (0.000, 0.330, 0.041) (multiplicity 4)
Ga (0.000, 0.103, 0.340) (multiplicity 4)
Ga (0.000, 0.206, 0.849) (multiplicity 4)
Ga (0.000, 0.212, 0.254) (multiplicity 4)
Ga (0.000, 0.375, 0.514) (multiplicity 4)
Ga (0.000, 0.447, 0.184) (multiplicity 4)
Ni (0.000, 0.105, 0.746) (multiplicity 4)
Ni (0.000, 0.274, 0.556) (multiplicity 4)
Ni (0.000, 0.450, 0.784) (multiplicity 4)

Peak list (10 most intense, 5° ≤ 2θ ≤ 70°, low angle first)
(hkl)	2theta	d_spacing	I/Imax
1 3 0	23.7	3.754	27
0 6 2	35.9	2.500	27
1 7 1	36.5	2.464	62
1 3 2	36.9	2.436	100
1 9 0	39.9	2.259	36
0 10 1	40.1	2.248	27
2 0 0	42.5	2.125	37
2 6 2	56.9	1.619	14
2 10 1	59.9	1.545	17
0 16 1	63.7	1.461	16

No. 2
V6GaNi2: simulated powder diffraction line list (Cu Kα), based on a DFT-relaxed cell (GGA-PBE, Alexandria).

Crystal structure
Cell: 6.536 12.356 2.973 Å, 90.00 100.95 90.00°
Space group C2/m (No. 12)
Asymmetric unit:
V (0.162, 0.000, 0.347) (multiplicity 4)
V (0.171, 0.163, 0.819) (multiplicity 8)
Ga (0.000, 0.500, 0.000) (multiplicity 2)
Ni (0.000, 0.337, 0.500) (multiplicity 4)

Peak list (10 most intense, 5° ≤ 2θ ≤ 70°, low angle first)
(hkl)	2theta	d_spacing	I/Imax
2 0 -1	37.5	2.398	7
2 2 -1	40.3	2.235	48
1 3 1	42.5	2.128	100
3 1 0	42.9	2.108	46
0 6 0	44.0	2.059	45
3 3 0	47.9	1.898	7
2 4 -1	48.0	1.894	36
3 5 0	56.9	1.617	14
1 1 -2	63.0	1.475	13
3 7 0	69.0	1.361	12

No. 3
V2Ga2Ni5: simulated powder diffraction line list (Cu Kα), based on a DFT-relaxed cell (GGA-PBE, Alexandria).

Crystal structure
Cell: 5.007 7.345 12.573 Å, 90.00 90.00 90.00°
Space group Fmmm (No. 69)
Asymmetric unit:
V (0.000, 0.000, 0.248) (multiplicity 8)
Ga (0.000, 0.166, 0.500) (multiplicity 8)
Ni (0.000, 0.000, 0.000) (multiplicity 4)
Ni (0.250, 0.250, 0.154) (multiplicity 16)

Peak list (10 most intense, 5° ≤ 2θ ≤ 70°, low angle first)
(hkl)	2theta	d_spacing	I/Imax
0 2 0	24.2	3.672	32
0 2 4	37.7	2.388	60
2 0 2	38.7	2.326	28
1 3 1	41.7	2.166	49
0 0 6	43.2	2.096	28
2 2 0	43.8	2.069	57
2 2 2	46.2	1.965	30
2 0 4	46.4	1.958	100
1 3 3	46.6	1.947	33
0 2 6	50.1	1.820	34

No. 4
V3GaNi: simulated powder diffraction line list (Cu Kα), based on a DFT-relaxed cell (GGA-PBE, Alexandria).

Crystal structure
Cell: 8.263 7.176 4.877 Å, 90.00 90.00 90.00°
Space group Ima2 (No. 46)
Asymmetric unit:
V (0.003, 0.225, 0.000) (multiplicity 8)
V (0.250, 0.151, 0.243) (multiplicity 4)
Ga (0.250, 0.002, 0.743) (multiplicity 4)
Ni (0.250, 0.672, 0.776) (multiplicity 4)

Peak list (10 most intense, 5° ≤ 2θ ≤ 70°, low angle first)
(hkl)	2theta	d_spacing	I/Imax
2 0 0	21.5	4.132	30
0 2 0	24.8	3.588	16
2 2 0	33.1	2.709	36
0 3 1	42.1	2.148	48
2 0 2	43.1	2.100	100
4 0 0	43.8	2.066	49
0 2 2	44.9	2.017	15
2 3 1	47.7	1.906	67
4 3 1	62.4	1.489	28
4 2 2	64.6	1.443	11

No. 5
**So much for the records of crystals:**

If you use Form 1 or 2, this option is ignored. For Form 1, 24 months of history is automatically generated. For Form 2, 12 months of history is automatically generated.

Tape Command (Shell Script File Name)

If you specify D for the Command Type option, specify the shell script that executes the UNIX commands to create the tape or disk. The shell script is saved in the operating directory. During the data load process, .sh is added to the script that is specified in this field.

This option is not used if the Export Type is ION BOD.

Command Type - (F)ile or (D)irect

Specify F to write the initial product data load to a file.

Specify D to write the initial product data load directly to a tape or disk.

This option is not used if the Export Type is ION BOD.

Data File Name

If you specified F for the Command Type option, specify the full directory path and file name for the file to be created. If the specified file name corresponds to an existing file, information that is generated by the report is appended to existing file. If the file name is longer than 24 characters, complete the entry in the (Continued) field.

This option is not used if the Export Type is ION BOD.

This field is a continuation of the Data File Name option. Use it if the file name is longer than the 24 characters available in the previous field.
VMI (ARP Type = 'm') Products Only?

Select Yes to include only products with a ARP type of VMI from the Product Warehouse Product Setup record. This option applies to both ranges and lists of products and product lines. If you use specify a list of products or product lines, only products with an ARP type of VMI is included.

Select No to include all product types.

Export Type (1 = EDI Flat File, 5 = ION BOD)
Specify 1 to generate EDI flat file output. Specify 5 to generate ION BOD output.
Note: You can generate EDI flat file or ION BOD output for Forms 1-3. You can only generate ION BOD output for Form 4.
Supplier ID
Specify the vendor’s EDI Trading Partner code. This value is specified in Vendor Setup-eCommerce.